Cough, cough – I need to talk to you about our fees…

One of the areas of greatest challenge for financial planners in Ireland today is increasing the level of your fees / trail commission from the levels that you are currently charging. But time marches along, and often when you actually turn to really examining the issue, many advisers find that their charges haven’t increased at all in the last 10 years! There are very few other professions where this would be the case.

The comments that I hear are,

“It’s all well and good that UK & US advisers charge 1%, as their asset management fees are so low” 

........
[1]
The following is a DFT calculation (the ωB97M-V functional and the def2-TZVPD basis) of a molecular structure, C9H10F3N3ReS.

Positions of all 27 atoms, in Å:
Re1 -1.89061 -0.98558 -1.66450
F1 -0.78901 3.51652 0.65240
C1 -1.89061 2.94762 1.22300
F2 -1.89061 3.49262 2.49530
F3 -2.99221 3.51652 0.65240
C2 -1.89061 1.44102 1.28310
C3 -1.89061 0.82942 2.56120
C4 -1.89061 -0.55598 2.72750
C5 -1.89061 -1.35428 1.60570
N1 -1.89061 -0.86348 0.36020
C6 -1.89061 0.58282 0.17970
S1 -1.89061 1.46512 -1.54240
H1 -1.89061 1.45122 3.45510
H2 -1.89061 -0.99668 3.71700
H3 -1.89061 -2.43568 1.67580
C7 3.33959 -1.68408 -0.54940
N2 2.64029 -1.00618 -1.60720
C8 3.37139 -0.32758 -2.65520
C9 1.25369 -0.99538 -1.63780
N3 0.09479 -0.98558 -1.66450
H4 4.43879 -1.59798 -0.67900
H5 3.07389 -2.76198 -0.56550
H6 3.06839 -1.24108 0.42990
H7 4.46449 -0.42568 -2.49920
H8 3.11199 0.74532 -2.65950
H9 3.11719 -0.78548 -3.62960
H10 -3.61531 -0.98558 -1.66450

Properties
Charge: +2
Spin multiplicity: 4
E_LUMO (alpha / beta), eV: -10.210 / -9.871
M, g mol⁻¹: 435.468
Calculated total energy, hartree: -1288.4774


[2]
The following is a DFT calculation (the ωB97M-V functional and the def2-TZVPD basis) of 2 unconnected molecules or ions with the total composition C4H13NS2.

Positions of all 20 atoms, in Å:
C1 -0.52205 -0.10164 -2.77990
C2 0.16160 -0.16591 -1.41518
C3 -0.79658 -0.60362 -0.32109
N1 1.33435 -1.03639 -1.38047
H1 -1.23605 0.71782 -2.80148
H2 0.21853 0.13075 -3.54498
H3 -1.03040 -1.04068 -3.01456
H4 0.51889 0.84374 -1.18338
H5 -0.32385 -0.48677 0.65263
H6 -1.70363 -0.00592 -0.33610
H7 -1.05473 -1.65503 -0.43271
H8 1.94927 -0.87214 -2.16972
H9 1.05903 -2.01489 -1.41035
C4 -0.61935 1.42901 2.89234
S1 1.00780 1.34074 3.65188
S2 2.04785 0.15045 2.31523
H10 -0.60493 1.82832 1.88699
H11 -1.21283 2.09777 3.51613
H12 -1.09207 0.44794 2.89000
H13 1.89915 -1.00353 2.98469

Properties
Relative energy (zero: lowest compared OMol25 entry of this formula, charge and spin), kcal/mol: 0.22
E_LUMO, eV: 0.770
M, g mol⁻¹: 139.289
Calculated total energy, hartree: -1011.3225


[3]
The following is a DFT calculation (the ωB97M-V functional and the def2-TZVPD basis) of C9H7BFN3O in the gas phase.

Positions of all 22 atoms, in Å:
F1 -4.66319 0.91519 0.33296
C1 -3.38902 0.66118 0.28394
C2 -2.59375 1.28938 1.20882
C3 -1.24444 1.07210 1.27172
C4 -0.73950 0.08797 0.36380
C5 -1.58247 -0.63155 -0.48573
C6 -2.99682 -0.33251 -0.62217
C7 -0.87283 -1.70911 -1.18853
O1 0.51966 -1.56565 -0.92325
B1 0.66231 -0.53086 -0.06583
C8 2.35828 0.16895 0.06774
N1 2.56216 1.44154 0.11870
N2 3.91580 1.69334 0.08680
C9 4.49562 0.55745 0.01348
N3 3.62354 -0.48127 0.00295
H1 -3.02433 2.14788 1.64842
H2 -0.56952 1.56304 2.01212
H3 -3.66246 -0.79394 -1.31034
H4 -1.20734 -2.59530 -0.52275
H5 -1.14114 -1.83375 -2.24714
H6 5.65992 0.34455 -0.09874
H7 3.88953 -1.46865 0.05304

Properties
E_LUMO, eV: 0.254
M, g mol⁻¹: 202.985
Calculated total energy, hartree: -711.3819


Record 1
{
  "formula": "C28H43N2O9P2S2SbSe4W",
........
Back to the entry

and “You can’t charge more than 0.25% / 0.5% p.a. (or fees of €1,500 / €2,000 p.a.) and justify it”.

However, there are growing numbers of Irish advisers that do charge more and their clients happily pay more. So how do they do it?


Their proposition stacks up

Please note, this article is not about the merit of trail v fees, that’s a whole other conversation! For the purpose of this article, I’m simply going to call them both fees.

Advisers that attract higher levels of fees tend to have superior propositions. They have put a lot of time and energy into really thinking through their client proposition and the value that clients experience from working with their firm. There’s no grey in the proposition – they are crystal clear about all of the value areas.

When this work is done properly, very quickly all of the new areas of value that you provide become apparent, and you see where your proposition has grown and how you provide more value today than you did when your fees were set. All of this added value at no extra cost (currently)…

Once you start to clearly identify these areas of additional value, you’ve taken the first step to increasing your fees.


They actively communicate their value

This is often the area of biggest challenge, particularly with existing clients. Actually having that conversation with a client about the value being added. It’s always easier just to talk to the client about their financial plan, their cashflows and their policies – it all feels a bit “American” to have a chat about the value being added!

But if you don’t have this conversation, all you can do is cross your fingers and hope your clients see the value they are getting…

This conversation has to be highly structured (by you) and very well practiced. You need to be able to clearly demonstrate that you’re not just “winging it”, hoping to increase your fees on a case by case basis. Instead by clearly articulating the services that you provide, the value derived from them and the cost of them, clients can see what they are getting for their fees.

From experience, this tends to work best when advisers offer multiple (2 or 3 usually) service packages. The higher value packages show the increased services being offered for the higher fee levels. Also if a client is not willing to pay a higher fee level, they clearly see the services that they won’t be getting.


They justify their fees

The communication is critical, but a slick sales pitch is not enough. Advisers who charge higher fees clearly justify those higher fees. This is achieved through providing a range of evidence,

  1. A statement of financial improvement is where you demonstrate to your client the actual € value of your advice – this might be in a net worth statement, portfolio increase, tax saved, costs saved or other such metrics
  2. A client calendar of all the interactions that you carried out with / for them over the last 6 or 12 months such as the meetings you had, the phone conversations, the newsletters you sent them and the events you invited them to etc. Not forgetting of course the updates to their plan and cashflows, the portfolio rebalancing and ad-hoc service requests.
  3. Timesheets are provided by some advisers to demonstrate the level of work carried out on the client’s behalf and providing a justification of fees in the process.

When you start pulling all of these strands together, it can seem like a lot of work to be undertaking. However the prize is huge. You will quickly realise the value you’re adding and this will give you increased confidence to have that conversation about higher fees with your clients. They see the fantastic value they are getting from working with you, while you earn more in the process. A win-win situation.